• Listing:
........
Sr2AlGaPd2: optimized geometry, PBE-GGA.

Cell lengths 6.2875, 6.2912, 8.6432 Å; angles 111.44, 111.33, 90.00 degrees
Sites, in units of the cell vectors:
Sr  0.4131  0.1683  0.3368
Sr  0.5869  0.8317  0.6632
Sr  0.0763  0.3317  0.6632
Sr  0.9237  0.6683  0.3368
Al  0.4999  0.7500  0.0000
Al  0.5001  0.2500  0.0000
Ga  0.0001  0.7500  0.0000
Ga  0.9999  0.2500  0.0000
Pd  0.8325  0.0905  0.1809
Pd  0.3484  0.5905  0.1809
Pd  0.6516  0.4095  0.8191
Pd  0.1675  0.9095  0.8191

Calculated values
N(E_F) = 4.53 states/eV per cell
formation energy = -0.6361 eV/atom

=====

Sr2AlGaPd6: optimized geometry, PBE-GGA.

Cell lengths 6.7358, 6.7429, 6.7338 Å; angles 59.93, 59.97, 90.08 degrees
Sites, in units of the cell vectors:
Sr  0.7500  0.2501  0.4999
Sr  0.2500  0.7499  0.5001
Al  0.0000  0.0000  0.0000
Ga  0.5000  0.5000  0.0000
Pd  0.2473  0.2474  0.5052
Pd  0.7527  0.7526  0.9999
Pd  0.2475  0.7527  0.0000
Pd  0.7525  0.2473  0.0000
Pd  0.2473  0.2474  0.0001
Pd  0.7527  0.7526  0.4948

Calculated values
N(E_F) = 5.65 states/eV per cell
formation energy = -0.4594 eV/atom

=====

Sr2Al4Ga3Pd: optimized geometry, PBE-GGA.

Cell lengths 4.3882, 4.3882, 10.9915 Å; angles 90.00, 90.00, 90.00 degrees
Sites, in units of the cell vectors:
Sr  0.5000  0.0000  0.2532
Sr  0.0000  0.5000  0.7468
Al  0.5000  0.5000  0.0000
Al  0.0000  0.0000  0.0000
Al  0.5000  0.0000  0.6225
Al  0.0000  0.5000  0.3775
Ga  0.0000  0.0000  0.5000
Ga  0.5000  0.0000  0.8608
Ga  0.0000  0.5000  0.1392
Pd  0.5000  0.5000  0.5000

Calculated values
N(E_F) = 3.31 states/eV per cell
formation energy = -0.4595 eV/atom

=====

> What is the formation energy in the third record?

-0.4595 eV/atom

=====

> The lowest N(E_F) belongs to which entry?

Sr2Al4Ga3Pd

=====

> Which of these has the highest formation energy?

Sr2AlGaPd6
........

• Job:
Type out all of the contents earlier on unchanged.

• Here it is:
Sr2AlGaPd2: optimized geometry, PBE-GGA.

Cell lengths 6.2875, 6.2912, 8.6432 Å; angles 111.44, 111.33, 90.00 degrees
Sites, in units of the cell vectors:
Sr  0.4131  0.1683  0.3368
Sr  0.5869  0.8317  0.6632
Sr  0.0763  0.3317  0.6632
Sr  0.9237  0.6683  0.3368
Al  0.4999  0.7500  0.0000
Al  0.5001  0.2500  0.0000
Ga  0.0001  0.7500  0.0000
Ga  0.9999  0.2500  0.0000
Pd  0.8325  0.0905  0.1809
Pd  0.3484  0.5905  0.1809
Pd  0.6516  0.4095  0.8191
Pd  0.1675  0.9095  0.8191

Calculated values
N(E_F) = 4.53 states/eV per cell
formation energy = -0.6361 eV/atom

=====

Sr2AlGaPd6: optimized geometry, PBE-GGA.

Cell lengths 6.7358, 6.7429, 6.7338 Å; angles 59.93, 59.97, 90.08 degrees
Sites, in units of the cell vectors:
Sr  0.7500  0.2501  0.4999
Sr  0.2500  0.7499  0.5001
Al  0.0000  0.0000  0.0000
Ga  0.5000  0.5000  0.0000
Pd  0.2473  0.2474  0.5052
Pd  0.7527  0.7526  0.9999
Pd  0.2475  0.7527  0.0000
Pd  0.7525  0.2473  0.0000
Pd  0.2473  0.2474  0.0001
Pd  0.7527  0.7526  0.4948

Calculated values
N(E_F) = 5.65 states/eV per cell
formation energy = -0.4594 eV/atom

=====

Sr2Al4Ga3Pd: optimized geometry, PBE-GGA.

Cell lengths 4.3882, 4.3882, 10.9915 Å; angles 90.00, 90.00, 90.00 degrees
Sites, in units of the cell vectors:
Sr  0.5000  0.0000  0.2532
Sr  0.0000  0.5000  0.7468
Al  0.5000  0.5000  0.0000
Al  0.0000  0.0000  0.0000
Al  0.5000  0.0000  0.6225
Al  0.0000  0.5000  0.3775
Ga  0.0000  0.0000  0.5000
Ga  0.5000  0.0000  0.8608
Ga  0.0000  0.5000  0.1392
Pd  0.5000  0.5000  0.5000

Calculated values
N(E_F) = 3.31 states/eV per cell
formation energy = -0.4595 eV/atom

=====

> What is the formation energy in the third record?

-0.4595 eV/atom

=====

> The lowest N(E_F) belongs to which entry?

Sr2Al4Ga3Pd

=====

> Which of these has the highest formation energy?

Sr2AlGaPd6